Smart buildings operating with artificial intelligence and knowing everything are still a long way off, based on this week's online Protector event about the present and future of digitalization in the real estate market. Zoltán Kalmár, founder of ProptechZoom, and Tibor Massányi, managing partner of DVM group, evaluated it in connection with a proptech conference in London, mainly with examples focused on office buildings.
However, the concept of proptech (Property Technology) can be found on the internet since 2014, and a few years ago Zoltán Kalmár already organized a conference with HWSW. However, the area still sounds unfamiliar to many people, which is probably also due to the fact that real estate market developers and operators are not yet flocking to digitization. Zoltán Kalmár, founder of ProptechZoom, and Tibor Massányi, managing partner of DVM group, evaluated the reasons for the lag and the opportunities that point to the distance in connection with a proptech conference in London, mainly with examples focused on office buildings.
The reasons for lagging behind digitalization in the real estate market can be traced back to several general problems and specifically Hungarian characteristics. The experts openly stated that the different interests of different participants in the field complicate the situation. In addition, we can talk about a "big mammoth" in every respect that likes proven methods and has difficulty accepting new things. Zoltán Kalmár added that the real estate market does not really like transparency, i.e. if the numbers become demonstrable and comparable. Furthermore, trust problems arise, which could possibly be countered by demonstrating efficiency.
The piece is interrupted by data records:
____________
Record 1
GGA-PBE Cs4Pr3HfS8, optimized geometry; energy relative to the elements, uncorrected = -1677 meV/atom
1.0
4.154 2.398 8.099
-4.154 2.398 8.099
0.000 -4.796 8.099
Cs Pr Hf S
4 3 1 8
direct
0.000 0.000 0.000
0.000 0.500 0.500
0.500 0.000 0.500
0.500 0.500 0.000
0.000 0.000 0.500
0.000 0.500 0.000
0.500 0.000 0.000
0.500 0.500 0.500
0.231 0.231 0.231
0.256 0.713 0.713
0.287 0.287 0.744
0.287 0.744 0.287
0.713 0.256 0.713
0.713 0.713 0.256
0.744 0.287 0.287
0.769 0.769 0.769

---

Record 2
GGA-PBE Cs3Pr2HfS6, optimized geometry; energy relative to the elements, uncorrected = -1646 meV/atom
1.0
3.563 -6.170 0.000
3.563 6.170 0.000
-2.382 0.000 8.083
Cs Pr Hf S
3 2 1 6
direct
0.000 0.000 0.000
0.329 0.671 0.000
0.671 0.329 0.000
0.166 0.834 0.500
0.834 0.166 0.500
0.500 0.500 0.500
0.135 0.439 0.317
0.258 0.258 0.685
0.439 0.135 0.317
0.561 0.865 0.683
0.742 0.742 0.315
0.865 0.561 0.683

---

Record 3
GGA-PBE Cs2Pr2HfS6, optimized geometry; energy relative to the elements, uncorrected = -1758 meV/atom
1.0
3.550 -6.074 0.000
3.550 6.074 0.000
-2.424 0.000 8.245
Cs Pr Hf S
2 2 1 6
direct
0.171 0.829 0.000
0.829 0.171 0.000
0.334 0.666 0.500
0.666 0.334 0.500
0.000 0.000 0.500
0.061 0.365 0.678
0.240 0.240 0.323
0.365 0.061 0.678
0.635 0.939 0.322
0.760 0.760 0.677
0.939 0.635 0.322

---

Record 4
GGA-PBE CsPrHfS4, optimized geometry; energy relative to the elements, uncorrected = -1673 meV/atom
1.0
7.080 0.000 0.000
0.000 7.094 0.000
-3.067 0.000 9.208
Cs Pr Hf S
2 2 2 8
direct
0.222 0.250 0.439
0.778 0.750 0.561
0.291 0.250 0.952
0.709 0.750 0.048
0.257 0.750 0.161
0.743 0.250 0.839
0.036 0.750 0.923
0.051 0.750 0.313
0.494 0.002 0.190
0.494 0.498 0.190
0.506 0.502 0.810
0.506 0.998 0.810
0.949 0.250 0.687
0.964 0.250 0.077

---

Record 5
GGA-PBE Cs3Pr3HfSe8, optimized geometry; energy relative to the elements, uncorrected = -1648 meV/atom
1.0
4.286 2.474 8.579
-4.286 2.474 8.579
0.000 -4.949 8.579
Cs Pr Hf Se
3 3 1 8
direct
0.000 0.500 0.500
0.500 0.000 0.500
0.500 0.500 0.000
0.000 0.000 0.500
0.000 0.500 0.000
0.500 0.000 0.000
0.500 0.500 0.500
0.231 0.231 0.231
0.255 0.713 0.713
0.287 0.287 0.745
0.287 0.745 0.287
0.713 0.255 0.713
0.713 0.713 0.255
0.745 0.287 0.287
0.769 0.769 0.769

---

Record 6
GGA-PBE Cs2Pr2HfSe6, optimized geometry; energy relative to the elements, uncorrected = -1626 meV/atom
1.0
3.675 -6.292 0.000
3.675 6.292 0.000
-2.557 0.000 8.570
Cs Pr Hf Se
2 2 1 6
direct
0.172 0.828 0.000
0.828 0.172 0.000
0.333 0.667 0.500
0.667 0.333 0.500
0.000 0.000 0.500
0.065 0.370 0.684
0.239 0.239 0.318
0.370 0.065 0.684
0.630 0.935 0.316
0.761 0.761 0.682
0.935 0.630 0.316

---

Record 7
GGA-PBE Cs4Pr3HfTe8, optimized geometry; energy relative to the elements, uncorrected = -1256 meV/atom
1.0
4.579 2.644 8.974
-4.579 2.644 8.974
0.000 -5.287 8.974
Cs Pr Hf Te
4 3 1 8
direct
0.000 0.000 0.000
0.000 0.500 0.500
0.500 0.000 0.500
0.500 0.500 0.000
0.000 0.000 0.500
0.000 0.500 0.000
0.500 0.000 0.000
0.500 0.500 0.500
____________
Added to this is an important Hungarian peculiarity in the construction market, according to experts. Because large works are usually carried out by large construction companies, and these are served by competing micro-enterprises. On the other hand, it is difficult for companies with a few employees to renew their technology, because they also have less money. So proptech introductions and related education mainly depend on large companies, which are afraid of developments due to the lack of immediate profit. That is, large contractors see the field as a cost rather than an investment, and they value less the long-term investment aspects inherent in data collection and data use.
The areas of proptech can be divided into five major categories: finance and analysis, design and construction, market and transaction (this includes the well-known, operation and maintenance, and the area of living and working. The greatest movement can be observed in the operation and maintenance category, as this is where the return on investment can be demonstrated for the first time, more than 35% of proptech companies are located in this segment.